**Contents:**
........
Arrangement P

Density functional theory data (ωB97M-V/def2-TZVPD) for a molecular structure, C27H21Cl3HgN8O3PS2.

Output
Spin multiplicity: 2
Charge: -2
HOMO level (spin up / spin down) in eV: -3.11 / -3.11

Each line ends with the Mulliken spin population.
Atoms and positions in Å:
Hg: -2.34812 -0.93810 -1.34317  0.00
Cl: 1.91333 3.84093 -4.89916  0.07
Cl: 4.22327 3.14846 -2.32856  0.08
Cl: 3.15133 1.19440 -5.00597  0.07
S: -3.79847 0.95983 -0.99075  0.00
S: -3.50357 -1.92964 0.78097  0.00
P: -0.96012 1.65126 1.39710  0.00
O: 0.57754 2.09828 1.73405  0.00
O: -1.37921 1.28907 2.94428  0.00
O: -1.72634 3.07863 1.30701  0.00
N: 1.91903 -2.63267 2.33291  0.00
N: -5.66803 0.59335 5.89734  0.00
N: 2.91547 -0.73569 -0.52105  0.00
N: 0.51966 -1.92937 0.70528  0.00
N: 0.36625 1.40673 -2.59594  0.23
N: 4.69160 0.41841 1.31015  0.00
N: -5.91110 4.10518 3.76252  0.00
N: 0.70704 -3.21765 2.44399  0.00
C: 2.26089 -2.48611 -3.57829  0.00
C: -4.50412 -0.41897 2.77979  0.00
C: -0.10709 -2.79355 1.46333  0.00
C: -5.35344 0.65929 4.79206  0.00
C: 3.36323 -2.84803 -4.33510  0.00
C: 2.12325 2.29492 -4.22038  0.61
C: -4.11231 -0.43334 1.43608  0.00
C: 2.83261 -0.97663 0.78982  0.00
C: 3.71769 -0.40813 1.69306  0.00
C: 1.42216 2.37324 0.60165  0.00
C: 3.85251 0.12047 -0.89593  0.00
C: -1.08119 -0.03002 3.38205  0.00
C: 0.82881 -3.64507 -5.13045  0.00
C: -0.98509 -1.95189 -2.47996  0.00
C: 1.93754 -4.00570 -5.88123  0.00
C: -4.97639 0.72038 3.40920  0.00
C: 4.73644 0.70201 0.01478  0.00
C: -5.07005 1.91431 2.67773  0.00
C: 3.20881 -3.60961 -5.48771  0.00
C: 1.75495 -1.85842 1.27488  0.00
C: -4.69359 1.91703 1.34468  0.00
C: -1.66893 4.02365 2.37178  0.00
C: 1.18024 1.81708 -3.30823  -0.07
C: -5.53598 3.12605 3.28764  0.00
C: -4.22336 0.77305 0.69455  0.00
C: 0.97664 -2.88125 -3.97027  0.00
C: -0.14714 -2.46370 -3.18662  0.00
H: 1.80727 -4.59392 -6.78216  0.00
H: -1.13835 -3.09631 1.36467  0.00
H: -2.02269 4.97370 1.97418  0.00
H: 4.34986 -2.52387 -4.02700  0.00
H: -0.16537 -3.94312 -5.43818  0.00
H: 5.46100 1.42418 -0.33659  0.00
H: 4.07344 -3.88604 -6.07911  0.00
H: -1.50702 -0.77213 2.70070  0.00
H: 1.29958 3.40649 0.27539  0.00
H: -1.52983 -0.15075 4.36774  0.00
H: -2.31395 3.70993 3.19364  0.00
H: 0.52337 -3.86957 3.18445  0.00
H: -4.42403 -1.33603 3.34839  0.00
H: 2.36337 -1.88051 -2.68441  0.00
H: -4.74030 2.84309 0.78772  0.00
H: -0.64718 4.13617 2.73825  0.00
H: 3.62599 -0.62517 2.75019  0.00
H: 0.00034 -0.18092 3.45686  0.00
H: 3.91839 0.39399 -1.94173  0.00
H: 1.18796 1.71626 -0.23778  0.00
H: 2.45152 2.22207 0.91490  0.00

=====

Arrangement Q

Density functional theory data (ωB97M-V/def2-TZVPD) for a molecular structure, C27H21Cl3HgN8O3PS2.

Output
Spin multiplicity: 2
Charge: -2
HOMO level (spin up / spin down) in eV: -2.56 / -2.56

Each line ends with the Mulliken spin population.
Atoms and positions in Å:
Hg: -0.21163 -0.60845 1.26593  0.00
Cl: 0.69983 -6.93152 -0.40745  0.09
Cl: 0.67158 -4.66852 -2.26885  0.09
Cl: -2.64130 -6.21636 -1.80669  0.01
S: -0.57025 1.85097 2.42919  0.00
S: 1.70612 -0.49476 3.04920  0.00
P: -2.62167 1.34210 -1.45874  0.00
O: -4.06966 2.11520 -1.56645  0.00
O: -2.84672 0.43867 -2.80791  0.00
O: -1.64655 2.47656 -2.09763  0.00
N: -1.76954 -1.38527 3.21782  0.00
N: 6.40666 3.11873 1.51242  0.00
N: -3.29085 -3.81997 -0.05738  0.00
N: -0.16408 -3.72152 1.18354  0.27
N: -2.38047 -1.95188 0.59052  0.00
N: -3.41147 -2.21492 5.29067  0.00
N: 3.61596 6.00367 0.75741  0.00
N: -3.53030 -3.76820 1.26274  0.00
C: 5.28181 2.91615 1.66144  0.00
C: 0.37557 -5.30547 -0.73544  0.61
C: -0.57153 2.97960 -1.27828  0.00
C: 3.35901 1.43292 -2.05691  0.00
C: 2.54854 0.33132 -2.36192  0.00
C: -2.80304 -2.18645 2.99321  0.01
C: -2.59823 -2.74562 -0.43888  0.00
C: -3.62463 -2.60079 4.03802  0.00
C: 2.81549 -0.39855 -3.52364  0.00
C: 2.92714 3.65656 1.57918  0.00
C: -1.54879 -0.98475 4.46139  0.00
C: 2.11550 1.10785 2.48889  0.00
C: 1.13679 2.11491 2.22253  0.00
C: 0.07666 -4.44285 0.31180  -0.07
C: 4.41002 1.78635 -2.88735  0.00
........

**Activity:**
Could you count the lines above that contain the word "def2-TZVPD" and give the number alone?

**Here it is:**
2